ICA defends industry ownership of code
31 July 2017
The Insurance Council of Australia has cautioned against regulatory changes that may weaken the industry’s ownership of the General Insurance Code of Practice…
31 July 2017
The Insurance Council of Australia has cautioned against regulatory changes that may weaken the industry’s ownership of the General Insurance Code of Practice…
31 July 2017
The Australian Securities and Investments Commission has signed a co-operation agreement with its Abu Dhabi counterpart, to help Australian fintech companies penetrate the lucrative Middle Eastern market…
24 July 2017
Tests have proved that cladding on the facade of Brisbane’s Princess Alexandra Hospital is combustible…
24 July 2017
The NSW Independent Pricing and Regulatory Tribunal says any subsidy to encourage take-up of crop insurance should be temporary…
24 July 2017
The Reserve Bank of New Zealand has decided against strict cyber-risk rules for financial businesses, opting for a flexible approach…
24 July 2017
The Financial Stability Board has welcomed publication of a new accounting standard for insurance contracts, and says insurers should begin implementation as soon as possible…
24 July 2017
The Insurance & Care NSW Foundation has partnered with Spinal Cord Injury Australia to fund a fitness service for spinal injury victims in rural NSW…
17 July 2017
NSW Emergency Services Levy Insurance Monitor Allan Fels has sought a fresh pledge from CEOs to “do the right thing” following the Government’s backflip on removing the charge from property policies…
17 July 2017
The presence of flammable building cladding could result in large premium increases, or even a refusal to offer cover, the Insurance Council of Australia has warned…
17 July 2017
Australian Securities and Investments Commission cost-recovery plans continue to cause uncertainty for insurance intermediaries, which fear paying excessive amounts due to definition problems…
17 July 2017
The Commonwealth will give NSW more than $638,000 to fund bushfire mitigation projects…
17 July 2017
The Productivity Commission has opened its inquiry into competition in the financial system, calling for submissions by September 15…
10 July 2017
Jeff Bailey, the MD of failed Perth authorised representative company Winley Financial Services, has been permanently banned from the financial services industry…
10 July 2017
A compensation scheme of last resort for aggrieved consumers is not the answer to improving the financial services sector, according to the Insurance Council of Australia…
== Between two parts of the piece: data records ==
(1)
Compound: CuAgRh2
Source: the Alexandria database
Functional: PBE
Structure: relaxed

Output
Formation energy in eV per atom: 0.363
D(E_F) in states/eV/f.u.: 3.05
Relative energy among the computed polymorphs in meV per atom: 252
Total DFT energy (no corrections) in eV/atom: -5.05
Total magnetic moment in μB per atom: 0.5056

Cell lengths 4.383, 4.383, 4.383 Å; angles 60.00, 60.00, 60.00 degrees
Each line ends with the local moment (μB).
Positions (direct):
1 Rh 0.250 0.250 0.250  0.91
2 Rh 0.750 0.750 0.750  0.91
3 Cu 0.000 0.000 0.000  0.17
4 Ag 0.500 0.500 0.500  0.09

(2)
Compound: Cu2NiPd9
Source: the Alexandria database
Functional: PBE
Structure: relaxed

Output
Formation energy in eV per atom: -0.028
D(E_F) in states/eV/f.u.: 17.79
Total DFT energy (no corrections) in eV/atom: -5.09
Total magnetic moment in μB per atom: 0.1147

Cell lengths 3.878, 3.878, 11.642 Å; angles 90.00, 90.00, 90.00 degrees
Each line ends with the local moment (μB).
Positions (direct):
1 Cu 0.000 0.000 0.333  -0.01
2 Cu 0.000 0.000 0.667  -0.01
3 Ni 0.000 0.000 0.000  0.75
4 Pd 0.500 0.500 0.000  0.15
5 Pd 0.500 0.500 0.333  0.04
6 Pd 0.500 0.500 0.667  0.04
7 Pd 0.500 0.000 0.165  0.12
8 Pd 0.500 0.000 0.500  0.02
9 Pd 0.500 0.000 0.835  0.12
10 Pd 0.000 0.500 0.165  0.12
11 Pd 0.000 0.500 0.500  0.02
12 Pd 0.000 0.500 0.835  0.12

Which value of formation energy does entry 1 give? 0.363 eV per atom

What is the formula in the first record? CuAgRh2


Entry 1:
{"formula": "HoBe6Ni2", "functional": "GGA-PBE", "state": "relaxed", "lattice_angstrom": [[-1.808, 2.984, 4.705], [1.808, -2.984, 4.705], [1.808, 2.984, -4.705]], "species": ["Ho", "Be", "Be", "Be", "Be", "Be", "Be", "Ni", "Ni"], "fractional_positions": [[0.000, 0.000, 0.000], [0.090, 0.288, 0.802], [0.340, 0.500, 0.840], [0.485, 0.288, 0.198], [0.515, 0.712, 0.802], [0.660, 0.500, 0.160], [0.910, 0.712, 0.198], [0.362, 0.862, 0.500], [0.638, 0.138, 0.500]], "magmom_total_mub_per_fu": 0.0, "space_group": "Immm", "vol_a3_per_cell": 101.6, "final_energy_ev_per_atom": -4.359}

***

Entry 2:
{"formula": "Ho2BeNi2", "functional": "GGA-PBE", "state": "relaxed", "lattice_angstrom": [[4.508, -2.680, 0.000], [4.508, 2.680, 0.000], [-1.677, 0.000, 7.088]], "species": ["Ho", "Ho", "Ho", "Ho", "Be", "Be", "Ni", "Ni", "Ni", "Ni"], "fractional_positions": [[0.021, 0.283, 0.151], [0.283, 0.021, 0.651], [0.717, 0.979, 0.349], [0.979, 0.717, 0.849], [0.376, 0.624, 0.250], [0.624, 0.376, 0.750], [0.249, 0.502, 0.497], [0.498, 0.751, 0.003], [0.502, 0.249, 0.997], [0.751, 0.498, 0.503]], "magmom_total_mub_per_fu": 0.0, "space_group": "C2/c", "vol_a3_per_cell": 171.2, "final_energy_ev_per_atom": -5.256}

***

Entry 3:
10 July 2017
The WA Building Commission will audit all “high-risk, high-rise” buildings with cladding following the Grenfell Tower fire, expanding an initial probe that focused only on aluminium composite panels…
10 July 2017
The Federal Government’s workers’ compensation scheme Comcare is fully funded for the first time since 2010, three years ahead of schedule…
10 July 2017
The Insurance Council of Australia has again called for the Australian Securities and Investments Commission to support legislative changes to align insurers with other financial services providers on electronic disclosure…
10 July 2017
Insurance & Care NSW says a medical support panel pilot project has cut treatment approval times for injured workers to an average of four days from 30 previously, based on interim results…
03 July 2017
Victoria has set up a taskforce to investigate the extent of non-compliant cladding on buildings following the Lacrosse block fire in Docklands and the Grenfell Tower disaster in London…
03 July 2017
The WA Building Commission has announced increased builders’ warranty premiums for large builders…